“It’s just the way the universe works,” Dad shrugged.
“Well I totally disagree. I’d rather watch a guy blow or fuck another guy than see two girls eating twat,” Mom added, playing around and enjoying turning it on her husband.
“Gross, gross, gross,” Dad said, actually shaking his head.
Mom continued, “What? You wouldn’t let Dave suck your cock? I hear guys are far better cock suckers than we gals.”
I was shocked (in a good way, in an awe-struck way) by Mom’s blatant sex talk. Hearing her say cock sucker was so fucking hot! Dave, by the way, was an openly gay man who lived down the street from us.
“Fuck, no!” Dad declared firmly.
Mom continued, “Why? A mouth is a mouth, and Dave’s mouth would know what to do with your little man far better than mine does. I don’t even have a cock, so how am I supposed to know what to do with yours?” She was really laying it on thick, knowing full well about Dad’s homophobic buttons and joyfully hammering every one of them. Both Mom and I were working extremely hard to contain our laughter.
“I’m not a faggot!” Dad yelled, getting riled up.
Mom usually backed down as soon as Dad got like this, but this time she didn’t. She said, “I didn’t say you were. Sucking dick makes you a faggot, or taking it up the ass, but getting blown by a guy doesn’t. It’s not contrary to nature, it’s hot!”
“Let’s drop this,” Dad said annoyed.
Mom shrugged, “I was just pointing out your hypocritical point of view.”
He said, “I’m a guy, it’s how we all think, isn’t it Wade?”
Here I had to pick a side, but the reality was I had gay friends and I didn’t see it as a big deal. If a guy wants to suck dick or take it in the ass that’s his prerogative… it’s not for me to judge. That said, it wasn’t something I was into doing. Dad was looking in the mirror at me as I said, “Honestly, Dad? Gay, bi, lez or straight, it’s all the same to me. People are people.”
“Exactly,” Mom agreed.
Dad sighed heavily.
Mom said, looking back at me, “So no girlfriend.”
“Just a chick you fuck sometimes,” Dad added, still in full testosterone mode.
“Yeah, something like that,” I agreed.
# Attached: data records
First-principles (PBE-GGA) data for crystalline PAuS3 at its relaxed geometry, as listed in the Alexandria database.

abc: 4.771 4.771 4.771
angles: 90.00 90.00 90.00
Space group Pm-3m (No. 221)
Symmetry-distinct sites (fractional):
P 0.000 0.000 0.000 [1 per cell]
Au 0.500 0.500 0.500 [1 per cell]
S 0.000 0.500 0.500 [3 per cell]

Formation energy from raw total energies: 1.176 eV per atom
DFT total energy: -3.04 eV per atom

=====

Compound: ZrPb3Au
Source: the Alexandria database
Functional: GGA-PBE
Structure: relaxed

Cell: 5.6677 5.6677 5.6677 Å, 90.00 90.00 90.00°
Last column: nearest neighbours and their distance in Å.
Element x y z (fractional)
1 Pb 0.0000 0.5000 0.0000  2 Zr 2.83
2 Pb 0.0000 0.0000 0.5000  2 Zr 2.83
3 Pb 0.5000 0.0000 0.0000  2 Zr 2.83
4 Au 0.5000 0.5000 0.5000  12 Pb 4.01
5 Zr 0.0000 0.0000 0.0000  6 Pb 2.83

Output
**DOS at the Fermi energy**: 5.66 states/eV per cell
**E**: -4.0070 eV per atom

=====

Compound: LaNi2Hg
Source: the Alexandria database
Functional: GGA-PBE
Structure: relaxed

Cell: 6.1573 6.1573 3.9427 Å, 71.34 71.34 35.47°
Last column: nearest neighbours and their distance in Å.
Element x y z (fractional)
1 Hg 0.5113 0.5113 0.4886  6 Ni 2.73-2.74
2 La 0.2684 0.2684 0.2318  6 Ni 2.88-3.22
3 Ni 0.0383 0.0383 0.9615  2 Ni 2.46, 4 Hg 2.74
4 Ni 0.6820 0.6820 0.8181  2 Ni 2.46, 2 Hg 2.73

Output
**DOS at the Fermi energy**: 3.31 states/eV per cell
**E**: -4.2766 eV per atom

=====

## MnP3O (GGA+U)

Data for a relaxed MnP3O crystal.

Values from the calculation:
**Distance to the lowest polymorph of the same formula**: 0 meV per atom
**N(E_F)**: 3.07 states/eV/cell

Cell and atoms, written as POSCAR:
```
MnP3O
1.0
4.193 0.000 0.000
0.000 4.193 0.000
0.000 0.000 4.193
Mn P O
1 3 1
direct
0.000 0.000 0.000
0.000 0.500 0.500
0.500 0.000 0.500
0.500 0.500 0.000
0.500 0.500 0.500
```

=====

A relaxed Pr4PPbS2 crystal, computed with PBE.

a = 4.2534 Å, b = 7.3689 Å, c = 7.4551 Å
α = 70.51°, β = 90.00°, γ = 90.00°
With the nearest neighbours (Å) after each atom.
Fractional positions:
1 S 0.5000 0.0000 0.5000  6 Pr 2.92-2.95
2 Pr 0.0000 0.2369 0.2686  3 S 2.92-3.06, 1 P 2.99, 2 Pb 3.11
3 Pb 0.5000 0.5000 0.0000  6 Pr 3.11
4 Pr 0.0000 0.7631 0.7314  3 S 2.92-3.06, 1 P 2.99, 2 Pb 3.11
5 Pr 0.5000 0.7515 0.2619  3 S 2.95-3.05, 2 P 2.99, 1 Pb 3.11
6 P 0.0000 0.5000 0.5000  6 Pr 2.99
7 Pr 0.5000 0.2485 0.7381  3 S 2.95-3.05, 2 P 2.99, 1 Pb 3.11
8 S 0.0000 0.0000 0.0000  6 Pr 3.05-3.06

Uncorrected energy: -6.051 eV per atom
Crystal system: monoclinic
Space-group type: P2/m (10)
ΔE_f (raw): -11.91 eV/f.u.

A relaxed Pr4PPb2Se crystal, computed with PBE.

a = 4.2042 Å, b = 8.3021 Å, c = 7.2875 Å
α = 73.00°, β = 90.00°, γ = 90.00°
With the nearest neighbours (Å) after each atom.
Fractional positions:
1 Pr 0.5000 0.2889 0.7306  2 P 2.93, 1 Se 2.99
2 Pb 0.5000 0.0000 0.5000  6 Pr 3.29-3.31
3 Pr 0.0000 0.7173 0.7530  1 P 2.93, 2 Se 3.00
4 Se 0.5000 0.5000 0.0000  6 Pr 2.99-3.00
5 Pb 0.0000 0.0000 0.0000  6 Pr 3.35-3.36
And then there was silence.
We got to our hotel room and I went to the bathroom to change into a suit as Dad joked, “You can change right here, you don’t have anything your mother hasn’t already seen.”
“Stop being an ass, Eric,” Mom said, clearly annoyed at her husband.
Mom had used her this is done tone, so Dad didn’t say anything else as I went and changed.
When I came out Mom complimented, “You look very handsome, Wade.”
As I looked at Mom’s big tits showcased in the black dress and then down to her black nylons and her perfectly manicured red toenails in her hosiery, I replied, not trying to hide my sincerity, “You look beautiful Mom.”
“Hear that, Eric? Your son was the first one to give me a compliment today.”
Eric sighed, “This is one of those I can’t win days, isn’t it?”
“It’s beginning to look that way,” my Mom nodded, clearly annoyed at Dad… something that would be remembered as a theme of today and tonight.